Winter Catalog - Perry Church of the Nazarene

This winter, we encourage you to make space for the Spirit to
unite you with those you worship alongside at Perry Nazarene.
We have several small groups available for spiritual growth and
Christian education. Pray for the Lord’s direction and see where
he leads you and the community of Perry Nazarene.
The diagram below maps out the locations of various classes.
Each course description that follows in these pages identifies the
room number of the various classes. If you aren’t sure or have
questions, don’t hesitate to ask your neighbor, a greeter or a
Year Round Sunday School
Three adult Sunday School classes are offered every Sunday
morning throughout the year. Each class session stands
alone and participants are encouraged to join at any time.
Sundays (Weekly)
Room 207
The LOGOS class study this winter is “Kingdoms in Conflict.” The
Holy Spirit empowers God's people to live holy lives at the
intersection of the kingdom of God and the kingdom of this world.
Our battle is not against flesh and blood but against the
"principalities and powers" of darkness. During this study, we will
explore some of the dimensions of the kingdom of God and the
battle you and I are engaged in daily against the kingdom of this
world. A class guide is provided so that class members may be
prepared for discussion and to learn together in a fellowship of
Mountain Movers in Training
Sundays (Weekly)
Room 206
This winter, we will engage in a series called Perfectly Imperfect.
The Bible is filled with stories of people with all kinds of flaws and
imperfections. The astounding thing is what happens when God
changes their lives. Perfectly Imperfect is about people whose true
-to life stories are found in the New Testament. They are like us in
many ways-confused, tempted, and often afraid, but then they
meet Jesus, and their lives are wonderfully transformed. Through
the character sketches in this book, we learn how God works with
us. We discover something about the way God transforms us from
what we are into what we can be. In these sometimes tragic and
broken lives, we get a glimpse of how God renews us and
remakes us into people who are perfectly imperfect.
Sundays (Weekly)
Room 207
MissioLife is a class focused on missional living—leading followers
through the path of spiritual formation, from scripture to a way of
life. The heart of the class is to explore and experience the story
and mission of God in community through discussion as we apply
the scripture to our life today. Wherever you find yourself, there’s
a place for you to come and learn about what it means to live a
missional life.
Adult Electives
We have several electives available this fall. These shortterm classes are opportunities for specific study and growth
and open to anyone who would like to join.
Taking that first step into the church building— whether it’s our first
time in a church or it’s just the first time we’ve returned to the
church after being away — is a big step. Usually we have
questions about God and about faith. We don’t want you to leave
us with those questions unanswered. Our growth groups are a
series of four short-term consecutive classes meant to set the
foundation of the Christian faith. The sequence of classes is Bible
101, Christianity 101, Spirit Filled Life, and Nazarene Beliefs. You
don’t have to start with the first class in the sequence. Join at any
time and follow the courses through the sequence.
Christianity 101 (Starting January15)
Sundays (Weekly)
Room 206
Of the world's major religion-Christianity--we sometimes speak in
generalities. This person is "Christian" while another is "Hindu,"
-- begin --
Record 1
Structure and simulated XRD peak list of LaPm2SmSe4 (a GGA-PBE-relaxed structure; Cu Kα, 1.54184 Å).
Kinematic intensities with the Lorentz-polarization factor, no thermal factor.

Main lines, in order of rising 2θ (2θ = 5–70°):
d [Å]  Rel. int.
3.473  4.1
3.458  4.0
3.426  7.9
2.984  100.0
2.128  12.7
2.114  25.0
2.107  24.8
2.092  12.1
1.737  6.7
1.729  6.7
1.713  12.9
1.492  12.2

Structural model:
Lattice parameters (Å, degrees): 7.3173 4.1834 7.3482 90.00 109.04 90.00
Fractional positions:
La1 0.0000 0.0000 0.0000
Pm1 0.5000 0.0000 0.5000
Pm2 0.5000 0.5000 0.0000
Sm1 0.0000 0.5000 0.5000
Se1 0.2509 0.0000 0.7460
Se2 0.2544 0.5000 0.2560
Se3 0.7456 0.5000 0.7440
Se4 0.7491 0.0000 0.2540

---

Record 2
Structure and simulated XRD peak list of LaPmTeSe (a GGA-PBE-relaxed structure; Cu Kα, 1.54184 Å).
Kinematic intensities with the Lorentz-polarization factor, no thermal factor.

Main lines, in order of rising 2θ (2θ = 5–70°):
d [Å]  Rel. int.
3.577  3.7
3.106  100.0
2.854  6.0
2.205  34.1
2.188  38.9
1.807  5.0
1.788  20.1
1.620  5.0
1.553  11.2
1.527  3.4
1.393  12.7
1.385  17.1

Structural model:
Lattice parameters (Å, degrees): 7.6584 7.6584 7.6584 33.19 33.19 33.19
Fractional positions:
La1 0.0000 0.0000 0.0000
Pm1 0.5199 0.5199 0.5199
Te1 0.7622 0.7622 0.7622
Se1 0.2570 0.2570 0.2570

---

Record 3
Structure and simulated XRD peak list of La2Pm3ThSe6 (a GGA-PBE-relaxed structure; Cu Kα, 1.54184 Å).
Kinematic intensities with the Lorentz-polarization factor, no thermal factor.

Main lines, in order of rising 2θ (2θ = 5–70°):
d [Å]  Rel. int.
8.976  1.6
3.469  5.0
3.454  14.9
2.995  100.0
2.121  37.6
2.114  37.3
1.810  2.6
1.805  6.7
1.735  6.7
1.727  19.8
1.497  12.3
1.372  2.1

Structural model:
Lattice parameters (Å, degrees): 9.4726 9.4726 8.4865 103.22 103.22 25.81
Fractional positions:
La1 0.1645 0.1645 0.3303
La2 0.8355 0.8355 0.6697
Pm1 0.1668 0.1668 0.8352
Pm2 0.5000 0.5000 0.5000
Pm3 0.8332 0.8332 0.1648
Th1 0.5000 0.5000 0.0000
Se1 0.0030 0.0030 0.7495
Se2 0.3328 0.3328 0.9217
Se3 0.3339 0.3339 0.4120
Se4 0.6661 0.6661 0.5880
Se5 0.6672 0.6672 0.0783
Se6 0.9970 0.9970 0.2505

---

Record 4
Structure and simulated XRD peak list of La3PmTh4Se8 (a GGA-PBE-relaxed structure; Cu Kα, 1.54184 Å).
Kinematic intensities with the Lorentz-polarization factor, no thermal factor.

Main lines, in order of rising 2θ (2θ = 5–70°):
d [Å]  Rel. int.
7.044  6.0
3.588  3.8
3.522  7.4
3.442  21.0
2.998  100.0
2.138  38.8
2.102  36.9
1.805  7.3
1.761  7.1
1.721  19.8
1.499  12.6
1.350  17.8

Structural model:
Lattice parameters (Å, degrees): 8.5546 8.5546 8.5546 58.87 58.87 58.87
Fractional positions:
La1 0.0000 0.5000 0.5000
La2 0.5000 0.0000 0.5000
La3 0.5000 0.5000 0.0000
Pm1 0.0000 0.0000 0.0000
Th1 0.0000 0.0000 0.5000
Th2 0.0000 0.5000 0.0000
Th3 0.5000 0.0000 0.0000
Th4 0.5000 0.5000 0.5000
Se1 0.2458 0.7515 0.7515
Se2 0.2485 0.2485 0.7542
Se3 0.2485 0.7542 0.2485
Se4 0.2487 0.2487 0.2487
Se5 0.7513 0.7513 0.7513
-- stop --
ignoring the shades of distinction between different doctrines and
sects. And for those who are new to the faith, it is natural to
wonder "What does a Christian believe?" It is this question for
which Christianity 101 provides answers. Who is God and what is
his nature? Was Jesus really his son, and why is that important?
Similar questions about where the Bible came from, what purpose
does the Holy Spirit serve, what role does the church play in our
lives, and more, all stem from a heart seeking to know what
Christians share in common.
This eight-session examination will help students feel confident in
knowing the basics of the Christian faith. Whether you’re new to
church or have been here a while, we encourage you to stop in to
this class.
Adult Bible Study
Men’s Bible Study (starting January 4)
Wednesdays (Weekly)
Women’s Bible Study (starting January 4)
Wednesdays (Weekly)
Room 207
Seven Deadly Sins
“Can a leopard change its spots?” (Jeremiah 13:23) The famed
question was asked by the Lord, in the days of Jeremiah, to a
people “accustomed to doing evil.” It was meant to be a rhetorical
question, the answer being obvious. You are stuck in your ways.
Changing your ways is as easy as a leopard changing its spots.
Change was hard for them and is hard for us. Our brain waves
and our lives move along familiar patterns that resist change. By
the time we get to a certain age, we may conclude it is too late to
change. But through the power of the Holy Spirit, true
transformation is possible. “Do not be conformed to the pattern of
this world but be transformed by the renewing of your mind.”
Romans 12:2
For centuries, “the 7 deadly sins” has been at the heart of a
process of self-examination and moral transformation for the
Christian. The list of seven is: Envy, Vanity, Sloth, Greed, Anger,
Gluttony and Lust. These are not chosen because they are the
most frequent sins, but because they are the source of so many
other sins and create a major hindrance to live the life God desires
for us. This January, in our men’s and women’s groups we will
focus on the nature of these sevens sins. Our reflection together
will bring to light their destructive influence, seeking God’s grace
and power to set us free to serve our Lord and love one another.
Grief Share
GriefShare (starting January 11)
Wednesdays (Weekly)
Room 205
Have you lost a family member or close friend either recently or in
the past and feel you need to talk about them and how the loss is
affecting your daily life? GriefShare may be the place for you. It is
a 14-week faith based program utilizing a three pronged approach
to healing from loss. Each week there is a DVD featuring
specialists in grief counseling discussing various topics of
grief. There is a weekly workbook component and also time to
share in a support group setting. The weeks are separated into
three thematic categories: comfort, answers, hope. While it’s ideal
for group members to attend all 13 sessions, each weekly session
is designed to be “open”, meaning a person can begin attending at
any time. Members will find comfort, answers, and hope in every
session. It has been said that time will heal all wounds, but that is
not true where grief is concerned. It takes work to recover from the
loss of a loved one and find joy in living again. Eventually though
the insights taught in this
program can turn your
mourning into joy and begin
living a life that we term a "new
normal." There's real relief
and healing in knowing that
what you are experiencing is perfectly normal. Please consider
joining us for this semester’s GriefShare to see the difference it
can make in resolving the issues grief has left on your life.
Weekly Topics Include:
Is This Normal?
Challenges of Grief
The Journey of Grief – Part 1
The Journey of Grief – Part 2
Grief and Your Relationships
Guilt and Anger
********
# Mn6Ga
Theoretical powder diffractogram, Cu Ka. Input: DFT lattice parameters and positions (PBE).

The 6 most intense peaks (2θ = 10–90°), by angle:
Position (°2θ)  intensity
29.7  44
36.6  100
52.7  21
57.2  50
61.6  24
89.1  14

Structure:
```
Mn6Ga
1.0
-3.0106 3.0106 3.0106
3.0106 -3.0106 3.0106
3.0106 3.0106 -3.0106
Mn Ga
6 1
Direct
0.2500 0.5000 0.7500
0.2500 0.7500 0.5000
0.5000 0.2500 0.7500
0.5000 0.7500 0.2500
0.7500 0.2500 0.5000
0.7500 0.5000 0.2500
0.0000 0.0000 0.0000
```

=====

1.
Starting from the PBE geometry in Alexandria, the X-ray powder pattern of HoNi4Ge12 was simulated for Cu Kα (weighted mean of Kα1 and Kα2).
Kinematic intensities with the Lorentz-polarization factor, no thermal factor.

Cell and atoms:
Unit cell a=7.270 b=7.270 c=7.270 alpha=109.47 beta=109.47 gamma=109.47
Atoms (fractional coordinates):
1 Ho 0.000 0.000 0.000
2 Ni 0.000 0.000 0.500
3 Ni 0.000 0.500 0.000
4 Ni 0.500 0.000 0.000
5 Ni 0.500 0.500 0.500
6 Ge 0.161 0.507 0.346
7 Ge 0.161 0.815 0.654
8 Ge 0.185 0.346 0.839
9 Ge 0.346 0.161 0.507
10 Ge 0.346 0.839 0.185
11 Ge 0.493 0.654 0.839
12 Ge 0.507 0.346 0.161
13 Ge 0.654 0.161 0.815
14 Ge 0.654 0.839 0.493
15 Ge 0.815 0.654 0.161
16 Ge 0.839 0.185 0.346
17 Ge 0.839 0.493 0.654

Principal peaks in the range 15° ≤ 2θ ≤ 90°, sorted by position:
2.968 Å, rel. 11; 2.655 Å, rel. 100; 2.244 Å, rel. 52; 1.877 Å, rel. 13; 1.714 Å, rel. 33; 1.646 Å, rel. 33; 1.440 Å, rel. 9; 1.399 Å, rel. 8; 1.238 Å, rel. 16; 1.102 Å, rel. 9

---

2.
Starting from the PBE geometry in Alexandria, the X-ray powder pattern of Ho3Ni9Ge2 was simulated for Cu Kα (weighted mean of Kα1 and Kα2).
Kinematic intensities with the Lorentz-polarization factor, no thermal factor.

Cell and atoms:
Unit cell a=7.661 b=7.661 c=7.661 alpha=149.94 beta=109.15 gamma=78.84
Atoms (fractional coordinates):
1 Ho 0.000 0.000 0.000
2 Ho 0.307 0.307 0.000
3 Ho 0.693 0.693 0.000
4 Ni 0.036 0.678 0.357
5 Ni 0.160 0.882 0.278
6 Ni 0.321 0.678 0.643
7 Ni 0.396 0.118 0.278
8 Ni 0.500 0.000 0.500
9 Ni 0.604 0.882 0.722
10 Ni 0.679 0.322 0.357
11 Ni 0.840 0.118 0.722
12 Ni 0.964 0.322 0.643
13 Ge 0.277 0.500 0.777
14 Ge 0.723 0.500 0.223

Principal peaks in the range 15° ≤ 2θ ≤ 90°, sorted by position:
2.800 Å, rel. 20; 2.370 Å, rel. 100; 2.368 Å, rel. 22; 2.203 Å, rel. 12; 2.034 Å, rel. 17; 1.987 Å, rel. 27; 1.849 Å, rel. 11; 1.522 Å, rel. 11; 1.309 Å, rel. 12; 1.209 Å, rel. 12

---

3.
Starting from the PBE geometry in Alexandria, the X-ray powder pattern of HoZnNiGe2 was simulated for Cu Kα (weighted mean of Kα1 and Kα2).
Kinematic intensities with the Lorentz-polarization factor, no thermal factor.

Cell and atoms:
Unit cell a=5.555 b=5.560 c=5.613 alpha=90.00 beta=90.00 gamma=90.00
Atoms (fractional coordinates):
1 Ho 0.250 0.000 0.231
2 Ho 0.750 0.000 0.769
3 Zn 0.250 0.500 0.370
4 Zn 0.750 0.500 0.630
5 Ni 0.000 0.500 0.000
6 Ni 0.500 0.500 0.000
7 Ge 0.250 0.235 0.746
8 Ge 0.250 0.765 0.746
9 Ge 0.750 0.235 0.254
10 Ge 0.750 0.765 0.254
********
**Back to the piece**
Complicating Factors
Lessons of Grief – Part 1
Lessons of Grief – Part 2
What Do I Live For Now?
Real Life Student Ministries (all year round)
Wednesdays (Weekly) 7:00-8:15pm
Perry Nazarene
Mid-week youth gathering for students in 7th – 12th grade. Join
your youth group family to have fun and fellowship as we worship
and learn together what it means to follow Jesus.
Sunday School (Weekly)
Perry Nazarene
We have two Sunday School classes, one for 7th-8th (Rm 204)
and one for 9th-12th (Lower Level). We discuss and learn how to
apply God’s word to our life in practical ways.
Sr. High Small Group (Weekly)
Barber Home
This is for 9th-12th and college-aged students who want to go
deeper into the Word and seek harder after an authentic faith that
is real with God and real with others. Meal or snacks included.
First session begins January 15 and meets every Sunday after.
27-28: District Celebrate Life
11: Winter Jam ($10)
25: Children’s Quiz Meet Fundraiser
3-4: Unshakable Teen Conference ($55)
7: Deadline for Regional Celebrate Life form and funds
28-29: Live Below the Line
11-13: Regional Celebrate Life ($100)
25-30: High School Camp ($250)
10-14: Middle School Camp ($250)
TBA: Mystery Trip ($300-$400)
Children’s Church
Sundays (Weekly)
Lower Level
Praise Station, for 1st-6th grade, meets Sunday at 9:30am in
the Lower Level of the church. We share the Word of God with
praise, worship and fun. Each month we explore a different
virtue and explore the character of God, learning how to apply
God’s Word to our lives.
Sunday School
Sundays (Weekly)
Sunday School is an important teaching tool for students. They
take an in depth look at the Bible and learn how the Bible is
constructed, how to find things in it and how it gives us
guidance for everyday living. We have wonderful teachers that
help make each lesson fun and engaging. They are committed
to showing students what it means to learn about having a
relationship with Christ. Sunday School is also a great time for
students to be with others their own age and foster enduring
Children’s Quizzing
Wednesdays (Weekly)
Room 204
Children’s Bible Quizzing is a fun Bible study with scheduled
competitions children in grades 2nd—6th grade. This year,
children will study 1 and 2 Samuel. Children will be introduced to
Samuel, Saul and David. Quizzers meet Wednesday evenings
from 6:30-8:00pm with other practices added around competitions.
Children’s Caravan
Wednesdays (Weekly)
Room 207
Caravans is a character building program for children K/5 through
6th grade. Kids earn badges in the categories of mental, physical,
spiritual and social development. The children participate in
various ministry projects throughout the year, giving them
opportunities to use their talents to serve God and others.
Worship Schedule
Sunday Mornings
9:30 AM
10:45 AM
Worship, Children’s Church, Adult Sunday School
Worship, Adult, Teen & Children Sunday School
Wednesday Evenings
6:30 AM
Morning Prayer and Communion *
6:00 PM
Wednesday Evening Meal **
6:30 PM
Grief Share
Children’s Quizzing
Doors Open for Teens
7:00 PM
Men’s Bible Study
Women’s Bible Study
Children’s Caravan
Teen Worship Begins
Paid Nursery staff is available during all services.
* Wednesday Morning Prayer and Communion begins at
6:30AM. The church sanctuary is open for a time of personal
prayer and reflection. During this time, the Lord’s Supper is
served to those who would like to receive. Feel free to come
and go as you please. What better way to start the day than to
kneel before the Lord and take some time to celebrate his
death and resurrection.
** Wednesday Evening Meals are served at 6pm every week.
Records of crystals from another source follow:
'''
# 1
Diffraction record for Li3V2NiO6. The X-ray powder pattern is theoretical, not measured: it uses a cell relaxed with PBE+U and Cu Kα, 1.54184 Å.
Intensities are scaled so that the largest is 100.

Cell and atoms:
```
Li3V2NiO6
1.0
6.3846 -1.4919 0.0000
6.3846 1.4919 0.0000
-1.4405 0.0000 5.7634
Li V Ni O
3 2 1 6
direct
0.0000 0.0000 0.0000 Li
0.3376 0.3376 0.6601 Li
0.6624 0.6624 0.3399 Li
0.3351 0.3351 0.1684 V
0.6649 0.6649 0.8316 V
0.0000 0.0000 0.5000 Ni
0.1683 0.1683 0.6053 O
0.1723 0.1723 0.0705 O
0.4896 0.4896 0.2491 O
0.5104 0.5104 0.7509 O
0.8277 0.8277 0.9295 O
0.8317 0.8317 0.3947 O
```

Principal peaks in the range 15° ≤ 2θ ≤ 90°, by angle:
2θ (°)  d [Å]  I_rel
18.31  4.846  100
35.42  2.534  29
36.10  2.488  13
37.15  2.420  12
42.97  2.105  57
43.85  2.065  26
47.34  1.920  14
56.81  1.621  9
62.81  1.479  15
63.32  1.469  15

# 2
Diffraction record for Li4VNi3O8. The X-ray powder pattern is theoretical, not measured: it uses a cell relaxed with PBE+U and Cu Kα, 1.54184 Å.
Intensities are scaled so that the largest is 100.

Cell and atoms:
```
Li4VNi3O8
1.0
5.8736 0.0000 0.0000
-2.9327 5.0949 0.0000
-2.9366 -1.7006 4.8023
Li V Ni O
4 1 3 8
direct
0.0000 0.0000 0.0000 Li
0.0052 0.5021 0.0021 Li
0.5004 0.0022 0.0076 Li
0.5086 0.5032 0.0076 Li
0.5004 0.4963 0.5028 V
0.0041 0.9977 0.5039 Ni
0.0046 0.4999 0.5055 Ni
0.5050 0.0006 0.5034 Ni
0.0254 0.7610 0.2872 O
0.0400 0.2670 0.2736 O
0.5045 0.7314 0.2731 O
0.5037 0.7310 0.7340 O
0.5050 0.2672 0.7355 O
0.5055 0.2690 0.2729 O
0.9696 0.7324 0.7354 O
0.9837 0.2369 0.7209 O
```

Principal peaks in the range 15° ≤ 2θ ≤ 90°, by angle:
2θ (°)  d [Å]  I_rel
18.48  4.802  100
35.82  2.507  45
37.47  2.400  21
43.54  2.079  77
47.67  1.908  16
57.59  1.600  17
63.25  1.470  35
66.51  1.406  10
75.88  1.254  8
79.92  1.200  9

# 3
Diffraction record for Li7V6Ni5O24. The X-ray powder pattern is theoretical, not measured: it uses a cell relaxed with PBE+U and Cu Kα, 1.54184 Å.
Intensities are scaled so that the largest is 100.

Cell and atoms:
```
Li7V6Ni5O24
1.0
5.8346 0.0000 0.0000
0.0266 5.8976 0.0000
2.8805 2.8261 12.4125
Li V Ni O
7 6 5 24
direct
0.0000 0.0000 0.0000 Li
0.1623 0.1661 0.1680 Li
0.1658 0.6694 0.6684 Li
0.3334 0.3306 0.3322 Li
0.6666 0.6694 0.6678 Li
0.8342 0.3306 0.3316 Li
0.8377 0.8339 0.8320 Li
0.0419 0.7911 0.4163 V
0.2941 0.5381 0.9175 V
0.3760 0.1283 0.7484 V
0.6240 0.8717 0.2516 V
0.7059 0.4619 0.0825 V
0.9581 0.2089 0.5837 V
0.1629 0.6653 0.1678 Ni
0.5000 0.0000 0.0000 Ni
0.5000 0.0000 0.5000 Ni
0.5000 0.5000 0.5000 Ni
0.8371 0.3347 0.8322 Ni
0.0807 0.0656 0.3399 O
0.0841 0.5934 0.3333 O
0.0871 0.5762 0.8375 O
0.0917 0.0912 0.8287 O
0.2513 0.2500 0.5018 O
0.2542 0.7469 0.0009 O
0.2553 0.7503 0.4985 O
0.2592 0.2567 0.9963 O
0.4171 0.9270 0.6660 O
0.4177 0.4054 0.6655 O
0.4190 0.9123 0.1662 O
0.4238 0.4241 0.1644 O
0.5762 0.5759 0.8356 O
0.5810 0.0877 0.8338 O
0.5823 0.5946 0.3345 O
0.5829 0.0730 0.3340 O
0.7408 0.7433 0.0037 O
0.7447 0.2497 0.5015 O
'''
Everyone is welcome to join for this family style meal. Cost is
$4 per person or $12 per family of four or more.
Upward Flag Football League
Boys and Girls in Grades 1st—6th
Early registration (before 3/1) is $65
Late registration (after 3/1) is $75
Every player must attend an evaluation on February 10 or 11
First Practice begins week of March 6, 2017
First Game is Saturday, April 1, 2017
Awards Celebration is Wednesday, May 24, 2017
Contact the church office or Pastor Lonny with questions.